As Coronavirus COVID-19 continues to take its toll and disrupt our daily lives beyond recognition, individuals are understandably keen to stay up to date on the latest news. Hackers has ceased the opportunity to create new attacks based on the public interest in the virus.

An email impersonating organisations like the UN World Health Organisation and the US Centres for Disease Control and prevention are among the most common. The criminal tricks users into opening a malicious email. These attacks are designed to do a variation of one of the following

• Infect the device and spread malware
• Gather login details
• Collect donations through malicious websites for fake charities

Calculated molecules from another source follow =
=====
1.
Below is a structure of composition C3HINO, with properties calculated with ωB97M-V/def2-TZVPD.

Atoms and positions in Å:
C1 0.9339 2.0941 1.2738
C2 0.2831 0.4206 0.1211
C3 2.1681 0.8686 -0.1084
N1 -0.1001 1.3637 0.7787
O1 2.0632 1.9793 0.6133
I1 3.7683 0.1781 -1.1002
H1 0.0640 -0.4335 -0.5300

Calculated values
* total charge: +1
* LUMO (alpha / beta): -7.8222 / -7.6598 eV
* E_HOMO (alpha / beta): -15.2 / -14.5 eV
* gap between HOMO and LUMO (alpha / beta): 7.33 / 6.87 eV
* max |F|: 0.09925 hartree/bohr



2.
Below is a structure of composition C3HLaLiO4, with properties calculated with ωB97M-V/def2-TZVPD.

Atoms and positions in Å:
O1 -1.3037 -0.3025 -1.9164
C1 -0.3744 -0.0709 -1.1247
O2 0.3802 -0.8564 -0.5257
La1 -2.7076 -2.0257 -3.4298
O3 -0.5388 1.1423 -0.4251
C2 -0.0625 1.1232 0.8919
C3 0.5523 0.0154 1.2390
O4 1.2086 -0.5769 2.0947
Li1 2.5588 -0.5194 3.2712
H1 0.2871 2.0709 -0.0751

Calculated values
* total charge: +3
* LUMO (alpha / beta): -11.9042 / -13.6371 eV
* E_HOMO (alpha / beta): -21.4 / -18.0 eV
* gap between HOMO and LUMO (alpha / beta): 9.52 / 4.33 eV
* max |F|: 0.15076 hartree/bohr



3.
Below is an isolated molecule of C3HN, with properties calculated with ωB97M-V/def2-TZVPD.

Atoms and positions in Å:
C1 1.2353 1.1961 -0.6786
C2 0.4949 0.3912 -0.2365
C3 -0.5319 -0.4336 0.2981
N1 -1.3285 -1.2167 0.6913
H1 2.1096 1.5950 -1.1363

Calculated values
* total charge: 0
* LUMO: 0.3010 eV
* E_HOMO: -11.3 eV
* gap between HOMO and LUMO: 11.61 eV
* structure (SMILES): C#CC#N
* max |F|: 0.07917 hartree/bohr



4.
Below is an isolated molecule of C3HN, with properties calculated with ωB97M-V/def2-TZVPD.

Atoms and positions in Å:
C1 -0.0672 0.8723 -0.9683
C2 0.0908 0.0075 -0.1360
C3 0.1418 -0.8781 0.9449
N1 0.0849 -1.7693 1.7508
H1 -0.2503 1.7676 -1.5913

Calculated values
* total charge: 0
* LUMO: -5.8816 eV
* E_HOMO: -11.1 eV
* gap between HOMO and LUMO: 5.22 eV
* structure (SMILES): C#CC#N
* max |F|: 0.10744 hartree/bohr



5.
Below is the ion C3HN2O3 with charge -1, with properties calculated with ωB97M-V/def2-TZVPD.

Atoms and positions in Å:
N1 -2.2918 1.8077 -0.9015
C1 -1.6068 1.1564 -0.2509
O1 -0.7227 0.5322 0.3427
C2 -0.4258 -1.0861 0.2716
O2 -1.3696 -1.8081 0.4148
N2 0.7908 -1.1342 -0.0485
C3 1.6733 -0.1043 0.0577
O3 2.5592 0.1214 -0.7483
H1 1.3934 0.5150 0.8624

Calculated values
* total charge: -1
* LUMO: 3.9901 eV
* E_HOMO: -5.8 eV
* gap between HOMO and LUMO: 9.79 eV
* structure (SMILES): N#CO/C([O-])=N\C=O
* max |F|: 0.04249 hartree/bohr



6.
Below is an isolated molecule of C3HN3O, with properties calculated with ωB97M-V/def2-TZVPD.

Atoms and positions in Å:
N1 2.6450 -0.3131 0.3303
C1 1.5118 -0.3114 0.0852
C2 0.1031 -0.1982 -0.0177
C3 -0.5977 1.0861 -0.0329
O1 -1.8019 1.1780 0.0222
N2 -1.3082 -2.1309 0.4864
N3 -0.6288 -1.2674 0.2560
H1 0.0856 1.9548 -0.0921

Calculated values
* total charge: 0
* LUMO: -0.6329 eV
* E_HOMO: -10.0 eV
* gap between HOMO and LUMO: 9.40 eV
* max |F|: 0.03593 hartree/bohr



7.
=====

Increased risk for remote workers

To prevent the spread of the virus, employees have been asked to work from home. Remote working will undoubtedly increase the reliance on emails and other types of online communication between colleagues as they look for real time connection to stop delays from hindering their work. Obvioulsy they will also be wanting updates on the outbreak and its effect on the workplace. To do this, businesses will need to incorporate effective virtual management software and communication tools, which can be found at sites similar to, to ensure that your employees are able to keep in constant contact with each other in this unprecedented time. Users are expecting email communications from management or HR about the virus and this expectation creates risk for the company as the user is more likely to accidentally open a malicious email.

**Here the page breaks off for calculated molecules**
<<<
# 1
Computed, not measured: one molecule with the formula C20H25FN2O2 at a distorted geometry, with ωB97M-V/def2-TZVPD.

Element x y z (Å)
1 C -1.012 -2.141 -1.993
2 N -2.028 -1.455 -1.224
3 C -2.244 -0.062 -1.536
4 C -1.076 0.835 -1.100
5 C -1.352 2.300 -1.440
6 C -0.199 3.171 -0.943
7 C 0.030 2.928 0.554
8 N 0.270 1.536 0.887
9 C 1.589 1.056 0.518
10 C 1.973 -0.201 1.314
11 C 3.373 -0.616 0.977
12 C 4.447 -0.364 1.819
13 C 5.734 -0.736 1.471
14 C 5.976 -1.370 0.265
15 C 4.926 -1.632 -0.598
16 C 3.651 -1.249 -0.229
17 F 2.630 -1.506 -1.084
18 C -0.828 0.717 0.412
19 C -2.550 -2.089 -0.146
20 O -2.189 -3.201 0.197
21 C -3.632 -1.384 0.591
22 C -4.916 -0.996 0.108
23 C -5.583 -0.497 1.182
24 O -4.816 -0.547 2.283
25 C -3.646 -1.096 1.925
26 H -1.082 -3.203 -1.770
27 H -0.007 -1.800 -1.736
28 H -1.186 -1.974 -3.057
29 H -2.385 0.032 -2.620
30 H -3.155 0.280 -1.042
31 H -0.176 0.517 -1.634
32 H -1.482 2.422 -2.518
33 H -2.279 2.614 -0.952
34 H -0.423 4.226 -1.112
35 H 0.711 2.928 -1.496
36 H 0.873 3.524 0.910
37 H -0.863 3.240 1.107
38 H 2.307 1.845 0.760
39 H 1.687 0.838 -0.557
40 H 1.883 0.014 2.378
41 H 1.291 -1.017 1.066
42 H 4.265 0.128 2.763
43 H 6.552 -0.532 2.146
44 H 6.978 -1.663 -0.007
45 H 5.081 -2.125 -1.545
46 H -0.639 -0.322 0.684
47 H -1.728 1.040 0.946
48 H -5.282 -1.097 -0.893
49 H -6.571 -0.094 1.286
50 H -2.898 -1.219 2.682

Atoms 1-3, force components in eV/Å:
0.025 -0.265 0.021
-0.013 -0.075 -0.238
0.196 0.438 0.060

Calculated values
relative energy (zero: lowest compared OMol25 entry of this formula, charge and spin): 0.0000 eV
largest force on an atom: 1.06 eV/A
SMILES: CN(C[C@H]1CCCN(CCc2ccccc2F)C1)C(=O)c1ccoc1
total charge: 0
HOMO: -8.290 eV
E_LUMO: 0.81 eV

Here are the Löwdin charges for atoms 1 to 8, given in e: -0.018 -0.095 -0.130 -0.280 -0.164 -0.171 -0.193 -0.162

***

# 2
Computed, not measured: C20H25GeN2RuSTe as an isolated structure at a distorted geometry, with ωB97M-V/def2-TZVPD.

Element x y z (Å)
1 Ru -0.892 -0.213 -0.100
2 C -0.955 0.056 3.015
3 N -1.420 -0.662 1.829
4 C -2.033 -1.807 1.929
5 C -2.413 -2.447 0.755
6 C -3.012 -3.671 0.430
7 C -3.081 -3.699 -0.957
8 C -2.528 -2.488 -1.424
9 N -2.144 -1.741 -0.383
10 C 0.528 0.323 2.954
11 C 1.392 -0.176 3.917
12 C 2.765 0.027 3.801
13 C 3.278 0.736 2.726
14 C 2.414 1.270 1.775
15 C 1.052 1.062 1.895
16 H -1.208 -0.529 3.900
17 H -1.476 1.015 3.070
18 H -2.262 -2.244 2.897
19 H -3.355 -4.425 1.120
20 H -3.472 -4.491 -1.573
21 H -2.447 -2.139 -2.441
22 H 0.998 -0.723 4.765
23 H 3.432 -0.378 4.551
24 H 4.345 0.887 2.634
25 H 2.805 1.856 0.952
26 H 0.366 1.567 1.217
27 C -1.560 0.647 -3.193
28 Ge -1.759 2.064 -1.854
29 C -2.761 3.636 -2.367
30 C 0.088 2.458 -1.266
31 C -2.413 1.151 -0.220
32 H -0.967 0.978 -4.045
33 H -2.526 0.294 -3.554
34 H -1.037 -0.205 -2.733
35 H -2.272 4.127 -3.210
36 H -2.806 4.330 -1.529
37 H -3.776 3.367 -2.657
38 H 0.716 2.879 -2.051
39 H 0.576 1.521 -0.957
40 H 0.096 3.137 -0.412
41 H -3.383 0.666 -0.321
42 H -2.422 1.828 0.640
>>>
**The calculated molecules stop here**

Combined with the reduced ability to confirm the legitimacy of an email due to remote working is the perfect environment for email scams.
Cybercriminals will always find new ways to take advantage of COVID-19 but if you have the proper email protection and you know what to look out for you can help protect your business from these malicious emails. Looking for warning signs can help protect your businesses’ emails from phishing scams, and coupled with document management software from a site similar to, your company could have an extra layer of security from cybercriminals.

Protecting your organization and employees

As a business owner you should be concerned with two things, when it comes to hackers and fraud, one being how it will affect your business and the second, the effect it will have on employees. Using a Digital Platform may help by being able to locate where the attack is coming from, so it can be fixed quickly. What is a Digital Business Technology Platform? Well, it is a network that manages all of your IT infrastructure and business assets into one central platform. This means that instead of all your data is stored across different systems, it is secured all in one place and is not just more organized but can help to track and find problems in the system more easily. This is just an additional extra of how you can locate viruses and hackers quicker, and also to overall support your business better.

Now, here are some of our top tips to protect your company and employees from malicious email attacks and they are based on employee education and security technology:

  • Ensure that your organization has reliable virus, malware, and anti-phishing protection. In the haste to get everybody working remotely this may have been over-looked on personal devices.
  • Malicious attacks are often delivered using a link in an email. Don’t click on links in emails from sources you do not know; they may lead to malicious websites
  • Go directly to the CDC or WHO website for the latest information. Be wary of emails claiming to be from them.
  • Spoofing the domain or display name is a common technique used for email attacks. Pay close attention to email messages from internal departments or management, they may not have come from who they say they have.
  • Never give login details or personal information in response to an email. This is commonly how a phishing attack leads to the compromise of business email systems.
  • Always report malicious email attacks immediately, especially if you have disclosed your personal details. A compromised account can be remedied, and the sooner action can be taken the less damage is likely to occur.
  • Make sure employees receive up-to-date training on the latest phishing and social-engineering attacks.

If we all work together collaboratively to support each other, especially those most at risk, we can beat this and emerge stronger.

'''
# 1
Molecular formula: C40H39N2O5PSeTi
Method: DFT, ωB97M-V/def2-TZVPD

The geometry in ORCA input format:
```
! RIJCOSX wB97M-V def2-TZVPD def2/J DEFGRID3
* xyz 1 2
Ti 0.020 0.222 0.323
O -0.890 4.095 -0.620
C -0.702 2.917 -0.024
O -0.235 1.909 -0.658
C -1.066 2.699 1.327
C -1.744 3.514 2.258
C -2.263 2.927 3.386
C -2.215 1.523 3.538
C -1.505 0.793 2.617
N -0.836 1.376 1.609
C -1.570 -0.706 2.385
O -2.032 -1.493 3.167
O -1.155 -0.972 1.171
H -0.629 4.054 -1.552
H -1.863 4.567 2.054
H -2.775 3.528 4.117
H -2.741 1.013 4.327
C 2.345 3.212 -1.352
C 2.694 2.253 -0.210
C 3.918 2.736 0.567
C 2.919 0.813 -0.705
C 3.944 0.663 -1.845
O 3.288 -0.166 -2.791
C 2.039 -0.387 -2.372
N 1.715 0.150 -1.243
C 1.279 -1.277 -3.258
C 1.918 -1.717 -4.423
C 1.334 -2.660 -5.246
C 0.094 -3.188 -4.927
C -0.566 -2.748 -3.796
C 0.005 -1.789 -2.964
P -0.859 -1.278 -1.448
C -2.089 -2.589 -1.219
C -3.288 -2.577 -1.928
C -4.150 -3.651 -1.821
C -3.817 -4.733 -1.023
C -2.637 -4.731 -0.297
C -1.768 -3.658 -0.389
C -1.932 0.083 -2.022
C -1.820 0.711 -3.258
C -2.693 1.736 -3.588
C -3.683 2.123 -2.700
C -3.788 1.508 -1.460
C -2.912 0.497 -1.115
H 1.962 4.147 -0.948
H 1.592 2.769 -2.005
H 3.227 3.447 -1.944
H 1.852 2.207 0.508
H 4.825 2.620 -0.020
H 4.029 2.179 1.494
H 3.804 3.790 0.807
H 3.245 0.227 0.166
H 4.867 0.174 -1.530
H 4.187 1.609 -2.333
H 2.891 -1.328 -4.670
H 1.852 -3.003 -6.127
H -0.366 -3.937 -5.553
H -1.528 -3.172 -3.548
H -3.540 -1.738 -2.563
H -5.077 -3.645 -2.372
H -4.481 -5.582 -0.967
H -2.390 -5.569 0.334
H -0.846 -3.628 0.180
H -1.072 0.384 -3.966
H -2.614 2.226 -4.545
H -4.384 2.894 -2.979
H -4.560 1.817 -0.772
H -3.019 -0.027 -0.165
C 6.393 0.409 5.423
C 5.279 0.194 4.449
C 4.025 0.755 4.643
C 2.965 0.481 3.792
C 1.627 1.102 4.058
C 3.158 -0.380 2.703
Se 1.572 -1.037 1.745
C 4.435 -0.901 2.449
C 4.755 -1.746 1.254
C 5.466 -0.601 3.328
H 6.076 1.017 6.266
H 7.239 0.895 4.940
H 6.743 -0.548 5.806
H 3.855 1.396 5.495
H 1.693 1.843 4.852
H 0.915 0.331 4.361
H 1.254 1.586 3.147
H 3.862 -2.237 0.870
H 5.491 -2.502 1.514
H 5.186 -1.128 0.464
H 6.442 -1.025 3.145
*
```

The expectation value of S² is 0.76. For the energy above the lowest of the compared OMol25 structures with the same formula, charge and spin, the calculation gives 12.8 kcal/mol.

# 2
Molecular formula: C26H25NO2PPdS
Method: DFT, ωB97M-V/def2-TZVPD

The geometry in ORCA input format:
```
! RIJCOSX wB97M-V def2-TZVPD def2/J DEFGRID3
* xyz -2 2
Pd -0.329 0.957 -0.312
O 2.012 2.810 3.574
N 2.548 1.854 2.880
C 3.489 1.078 3.482
C 4.135 0.051 2.842
C 3.799 -0.224 1.514
C 2.831 0.545 0.917
C 2.191 1.615 1.572
S 1.030 2.617 0.781
H 3.674 1.368 4.506
H 4.883 -0.521 3.377
H 4.277 -1.019 0.954
H 2.534 0.354 -0.106
C -3.457 -0.884 -0.633
P -2.219 0.142 0.299
C -3.408 1.259 1.194
C -4.555 0.809 1.849
C -5.399 1.696 2.501
C -5.100 3.053 2.517
C -3.952 3.510 1.887
C -3.113 2.618 1.230
C -1.830 -1.006 1.688
C -2.208 -2.344 1.734
C -1.795 -3.172 2.773
C -1.002 -2.670 3.789
C -0.618 -1.333 3.755
C -1.019 -0.513 2.714
'''
### The data records stop here

Take care, stay safe and look after each other